Work order:
The reader should transcribe all of the rows further down without additions.

File:
- - -
(1)
VASP calculation (GGA-PBE) on a geometry-optimized Tc2GeSbN structure.

Summary:
* energy: -5.73 eV per atom
* uncorrected formation energy: 1829 meV per atom
* V: 20.51 Å³ per atom

Unit cell a=5.0585 b=5.0585 c=4.0070 alpha=90.00 beta=90.00 gamma=90.00
Space group P4/mmm (No. 123)
Asymmetric unit:
Tc1 0.0000 0.5000 0.0000
Ge1 0.0000 0.0000 0.5000
Sb1 0.5000 0.5000 0.0000
N1 0.5000 0.5000 0.5000


(2)
VASP calculation (GGA-PBE) on a geometry-optimized NdEr2Al structure.

Summary:
* energy: -4.59 eV per atom
* V: 27.24 Å³ per atom
* relative energy among the computed polymorphs: 17 meV/atom

Unit cell a=5.3063 b=6.8931 c=11.9162 alpha=90.00 beta=90.00 gamma=90.00
Space group Amm2 (No. 38)
Asymmetric unit:
Nd1 0.0000 0.2349 0.0000
Er1 0.0000 0.0000 0.7622
Er2 0.5000 0.0000 0.4141
Er3 0.5000 0.2379 0.1774
Al1 0.0000 0.0000 0.2558
Al2 0.5000 0.0000 0.9153


(3)
VASP calculation (GGA-PBE) on a geometry-optimized Ba2AlCu structure.

Summary:
* energy: -3.03 eV per atom
* V: 39.75 Å³ per atom

Unit cell a=4.5942 b=4.5942 c=26.0933 alpha=90.00 beta=90.00 gamma=120.00
Space group R3m (No. 160, hexagonal axes)
Asymmetric unit:
Ba1 0.0000 0.0000 0.0000
Ba2 0.0000 0.0000 0.1658
Al1 0.0000 0.0000 0.4162
Cu1 0.0000 0.0000 0.7495


(4)
VASP calculation (GGA-PBE) on a geometry-optimized RbAsPd structure.

Summary:
* energy: -4.01 eV per atom
* V: 28.08 Å³ per atom
* relative energy among the computed polymorphs: 29 meV/atom

Unit cell a=4.8782 b=4.7799 c=7.2331 alpha=90.00 beta=92.56 gamma=90.00
Space group P2_1/m (No. 11)
Asymmetric unit:
Rb1 0.2391 0.2500 0.3592
As1 0.1707 0.2500 0.8985
Pd1 0.3292 0.7500 0.9880


(5)
VASP calculation (GGA-PBE) on a geometry-optimized PbAu2 structure.

Summary:
* energy: -3.18 eV per atom
* V: 27.24 Å³ per atom

Unit cell a=6.8887 b=6.8887 c=6.8887 alpha=90.00 beta=90.00 gamma=90.00
Space group Pa-3 (No. 205)
Asymmetric unit:
Pb1 0.0000 0.0000 0.0000
Au1 0.1151 0.6151 0.8849


(6)
VASP calculation (GGA-PBE) on a geometry-optimized Pm2InSn2 structure.

Summary:
* energy: -4.68 eV per atom
* V: 28.61 Å³ per atom
* relative energy among the computed polymorphs: 0 meV/atom

Unit cell a=7.9358 b=7.9358 c=9.0868 alpha=90.00 beta=90.00 gamma=90.00
Space group P4/mnc (No. 128)
Asymmetric unit:
Pm1 0.1749 0.3252 0.0000
In1 0.0000 0.0000 0.2496
Sn1 0.1292 0.6292 0.2500


no.,calculated density (g/cm³)
1,6.55
2,7.71
3,3.81
4,5.26
5,12.21
6,7.45
- - -

Done:
(1)
VASP calculation (GGA-PBE) on a geometry-optimized Tc2GeSbN structure.

Summary:
* energy: -5.73 eV per atom
* uncorrected formation energy: 1829 meV per atom
* V: 20.51 Å³ per atom

Unit cell a=5.0585 b=5.0585 c=4.0070 alpha=90.00 beta=90.00 gamma=90.00
Space group P4/mmm (No. 123)
Asymmetric unit:
Tc1 0.0000 0.5000 0.0000
Ge1 0.0000 0.0000 0.5000
Sb1 0.5000 0.5000 0.0000
N1 0.5000 0.5000 0.5000


(2)
VASP calculation (GGA-PBE) on a geometry-optimized NdEr2Al structure.

Summary:
* energy: -4.59 eV per atom
* V: 27.24 Å³ per atom
* relative energy among the computed polymorphs: 17 meV/atom

Unit cell a=5.3063 b=6.8931 c=11.9162 alpha=90.00 beta=90.00 gamma=90.00
Space group Amm2 (No. 38)
Asymmetric unit:
Nd1 0.0000 0.2349 0.0000
Er1 0.0000 0.0000 0.7622
Er2 0.5000 0.0000 0.4141
Er3 0.5000 0.2379 0.1774
Al1 0.0000 0.0000 0.2558
Al2 0.5000 0.0000 0.9153


(3)
VASP calculation (GGA-PBE) on a geometry-optimized Ba2AlCu structure.

Summary:
* energy: -3.03 eV per atom
* V: 39.75 Å³ per atom

Unit cell a=4.5942 b=4.5942 c=26.0933 alpha=90.00 beta=90.00 gamma=120.00
Space group R3m (No. 160, hexagonal axes)
Asymmetric unit:
Ba1 0.0000 0.0000 0.0000
Ba2 0.0000 0.0000 0.1658
Al1 0.0000 0.0000 0.4162
Cu1 0.0000 0.0000 0.7495


(4)
VASP calculation (GGA-PBE) on a geometry-optimized RbAsPd structure.

Summary:
* energy: -4.01 eV per atom
* V: 28.08 Å³ per atom
* relative energy among the computed polymorphs: 29 meV/atom

Unit cell a=4.8782 b=4.7799 c=7.2331 alpha=90.00 beta=92.56 gamma=90.00
Space group P2_1/m (No. 11)
Asymmetric unit:
Rb1 0.2391 0.2500 0.3592
As1 0.1707 0.2500 0.8985
Pd1 0.3292 0.7500 0.9880


(5)
VASP calculation (GGA-PBE) on a geometry-optimized PbAu2 structure.

Summary:
* energy: -3.18 eV per atom
* V: 27.24 Å³ per atom

Unit cell a=6.8887 b=6.8887 c=6.8887 alpha=90.00 beta=90.00 gamma=90.00
Space group Pa-3 (No. 205)
Asymmetric unit:
Pb1 0.0000 0.0000 0.0000
Au1 0.1151 0.6151 0.8849


(6)
VASP calculation (GGA-PBE) on a geometry-optimized Pm2InSn2 structure.

Summary:
* energy: -4.68 eV per atom
* V: 28.61 Å³ per atom
* relative energy among the computed polymorphs: 0 meV/atom

Unit cell a=7.9358 b=7.9358 c=9.0868 alpha=90.00 beta=90.00 gamma=90.00
Space group P4/mnc (No. 128)
Asymmetric unit:
Pm1 0.1749 0.3252 0.0000
In1 0.0000 0.0000 0.2496
Sn1 0.1292 0.6292 0.2500


no.,calculated density (g/cm³)
1,6.55
2,7.71
3,3.81
4,5.26
5,12.21
6,7.45